Type out the lines further below from the line with "2.661" to the end without additions.

'''
--- 1 ---
Entry from the OMol25 dataset: one molecule with the formula CH4N6O (ωB97M-V/def2-TZVPD).

Results
Structure (SMILES): Nn1nnn(N)c1=O
HOMO energy (eV): -9.6
Spin multiplicity: 1
Orbital gap (eV): 10.0
LUMO level (eV): 0.5

Last columns: bonded neighbours and bond lengths (Å).
Cartesian coordinates (Å):
1 C 0.074 0.686 -0.120  N7 1.277, N10 1.415, O12 1.150
2 H 2.868 0.944 -0.325  N6 1.145
3 H 2.486 -0.088 1.362  N6 1.255
4 H -2.566 0.871 1.000  N11 1.056
5 H -2.465 0.680 -0.820  N11 1.006
6 N 2.241 0.111 0.147  H2 1.145, H3 1.255, N7 1.408
7 N 0.935 -0.251 -0.235  C1 1.277, N6 1.408, N8 1.382
8 N 0.526 -1.566 -0.111  N7 1.382, N9 1.236
9 N -0.691 -1.481 0.085  N8 1.236, N10 1.388
10 N -1.065 -0.150 -0.030  C1 1.415, N9 1.388, N11 1.393
11 N -2.365 0.329 0.117  H4 1.056, H5 1.006, N10 1.393
12 O 0.272 1.816 -0.039  C1 1.150

--- 2 ---
Entry from the OMol25 dataset: one molecule with the formula CH4N6O (ωB97M-V/def2-TZVPD).

Results
Structure (SMILES): NNc1nnnn1O
HOMO energy (eV): -9.4
Spin multiplicity: 1
Orbital gap (eV): 9.7
LUMO level (eV): 0.3

Last columns: bonded neighbours and bond lengths (Å).
Cartesian coordinates (Å):
1 C -0.228 -0.869 0.009  N2 1.297, N5 1.411, N7 1.300
2 N -1.331 -1.537 -0.128  C1 1.297, N3 1.336
3 N -1.045 -2.816 0.127  N2 1.336, N4 1.265
4 N 0.156 -3.049 0.447  N3 1.265, N5 1.311
5 N 0.693 -1.852 0.431  C1 1.411, N4 1.311, O8 1.454
6 N -1.051 1.274 -0.587  N7 1.490, H9 1.030, H10 1.039
7 N 0.068 0.384 -0.172  C1 1.300, N6 1.490, H11 1.032
8 O 1.998 -1.532 0.987  N5 1.454, H12 1.048
9 H -1.595 1.394 0.279  N6 1.030
10 H -1.731 0.646 -1.059  N6 1.039
11 H 1.019 0.673 -0.449  N7 1.032
12 H 2.609 -2.038 0.303  O8 1.048

Compare the structures above. Which one is the least stable? 1 is.

----------

Entry from the OMol25 dataset: 7 unconnected molecules or ions with the total composition C7H14Cl14 in a non-equilibrium geometry (ωB97M-V/def2-TZVPD).

Results
- max |F| (hartree/bohr) = 0.0244
- HOMO level (alpha / beta) (eV) = -12.9 / -12.9
- spin multiplicity = 2
- frontier orbital gap (alpha / beta) (hartree) = 0.360 / 0.077
- total energy (Ha) = -6717.37362
- total charge = +1
- energy above the lowest of the compared OMol25 structures with the same formula, charge and spin (kcal per mole) = 5.7
- M (g mol⁻¹) = 594.53

```
35
C7H14Cl14 | the OMol25 dataset | ωB97M-V/def2-TZVPD
C -1.187 2.353 3.404
Cl -1.039 3.106 5.001
Cl -2.713 2.802 2.661
H -0.355 2.667 2.773
H -1.137 1.268 3.494
C -1.856 -3.025 3.191
Cl -1.217 -3.808 1.713
Cl -1.300 -3.982 4.601
H -1.418 -2.027 3.230
H -2.945 -2.974 3.176
C 0.332 -0.414 -0.085
Cl -1.064 0.360 -0.973
Cl 0.041 -0.341 1.645
H 0.452 -1.453 -0.394
H 1.250 0.141 -0.280
C -2.705 3.109 -2.281
Cl -3.625 4.004 -1.064
Cl -3.243 3.588 -3.918
H -1.635 3.301 -2.202
H -2.999 2.060 -2.239
C 0.662 -5.512 -0.737
Cl 1.674 -4.100 -0.788
Cl 1.127 -6.726 -1.974
H 0.715 -5.993 0.240
H -0.342 -5.136 -0.934
C 0.726 4.795 -0.474
Cl 1.174 3.078 -0.704
Cl -0.062 5.003 1.109
H 1.592 5.447 -0.582
H -0.031 4.894 -1.253
C 4.148 -1.425 -3.101
Cl 3.738 -0.474 -1.659
Cl 5.609 -0.748 -3.957
H 4.316 -2.469 -2.835
H 3.317 -1.370 -3.804
```

Atom charges from the Löwdin analysis, given in e for atoms 1 to 8: atom 1 (C): -0.9709, atom 2 (Cl): 0.6904, atom 3 (Cl): 0.7796, atom 4 (H): 0.0222, atom 5 (H): 0.0160, atom 6 (C): -0.9841, atom 7 (Cl): 0.4907, atom 8 (Cl): 0.5001


Entry from the OMol25 dataset: C32H34N4O5 in the gas phase (ωB97M-V/def2-TZVPD).

Results
- max |F| (hartree/bohr) = 0.0142
- HOMO level (eV) = -8.7
- SMILES = Cc1cc(C)c(NC(=O)Cn2c(=O)n(-c3ccc(CC(=O)NC[C@@H]4CCCO4)cc3)c(=O)c3ccccc32)c(C)c1
- frontier orbital gap (hartree) = 0.327
- total energy (Ha) = -1835.16853
- total charge = 0
- energy above the lowest of the compared OMol25 structures with the same formula, charge and spin (kcal per mole) = 0.0
- M (g mol⁻¹) = 554.65

```
75
C32H34N4O5 | the OMol25 dataset | ωB97M-V/def2-TZVPD
C -1.185 -1.408 1.864
C 0.151 -1.560 1.203
C 0.258 -2.126 -0.056
C 1.490 -2.361 -0.652
'''

Cl -2.713 2.802 2.661
H -0.355 2.667 2.773
H -1.137 1.268 3.494
C -1.856 -3.025 3.191
Cl -1.217 -3.808 1.713
Cl -1.300 -3.982 4.601
H -1.418 -2.027 3.230
H -2.945 -2.974 3.176
C 0.332 -0.414 -0.085
Cl -1.064 0.360 -0.973
Cl 0.041 -0.341 1.645
H 0.452 -1.453 -0.394
H 1.250 0.141 -0.280
C -2.705 3.109 -2.281
Cl -3.625 4.004 -1.064
Cl -3.243 3.588 -3.918
H -1.635 3.301 -2.202
H -2.999 2.060 -2.239
C 0.662 -5.512 -0.737
Cl 1.674 -4.100 -0.788
Cl 1.127 -6.726 -1.974
H 0.715 -5.993 0.240
H -0.342 -5.136 -0.934
C 0.726 4.795 -0.474
Cl 1.174 3.078 -0.704
Cl -0.062 5.003 1.109
H 1.592 5.447 -0.582
H -0.031 4.894 -1.253
C 4.148 -1.425 -3.101
Cl 3.738 -0.474 -1.659
Cl 5.609 -0.748 -3.957
H 4.316 -2.469 -2.835
H 3.317 -1.370 -3.804
```

Atom charges from the Löwdin analysis, given in e for atoms 1 to 8: atom 1 (C): -0.9709, atom 2 (Cl): 0.6904, atom 3 (Cl): 0.7796, atom 4 (H): 0.0222, atom 5 (H): 0.0160, atom 6 (C): -0.9841, atom 7 (Cl): 0.4907, atom 8 (Cl): 0.5001


Entry from the OMol25 dataset: C32H34N4O5 in the gas phase (ωB97M-V/def2-TZVPD).

Results
- max |F| (hartree/bohr) = 0.0142
- HOMO level (eV) = -8.7
- SMILES = Cc1cc(C)c(NC(=O)Cn2c(=O)n(-c3ccc(CC(=O)NC[C@@H]4CCCO4)cc3)c(=O)c3ccccc32)c(C)c1
- frontier orbital gap (hartree) = 0.327
- total energy (Ha) = -1835.16853
- total charge = 0
- energy above the lowest of the compared OMol25 structures with the same formula, charge and spin (kcal per mole) = 0.0
- M (g mol⁻¹) = 554.65

```
75
C32H34N4O5 | the OMol25 dataset | ωB97M-V/def2-TZVPD
C -1.185 -1.408 1.864
C 0.151 -1.560 1.203
C 0.258 -2.126 -0.056
C 1.490 -2.361 -0.652